International espionage and football action combine when these teenage spies are sent to the world’s toughest trouble spots, going undercover with the England youth team.
The world’s in danger and only The Squad can save us.
Read more about the 2 books in this series here:
Signed and dedicated copies of all my books are available personalised to order from my local independent children’s bookshop “The Thoughtful Spot” here.
Read about The Squad team here.
Learn more about reading and writing The Squad here.
Read first chapters by clicking on the covers below:
Read my extra story Black and White Op written to celebrate the launch of The Squad series for Newcastle Libraries here.
The Squad Team
Lily is a kind and friendly girl. When people meet her they love her. But, when it comes to it, she is tougher than any of the others in the Squad. She is a very good runner, having been trained by her father to run in the hills of Yorkshire since she was six. Although she is not one of the leaders, she is always listened to by those who do lead. She speaks several languages and is very bright. Lily is a right back in the team.
Hatty is very different to Lily. She is hard and uncompromising. She pushes the other Squad members to make sure they do what she thinks is right. She comes across as mean. She doesn’t trust outsiders. Most of the time this is useful, but sometimes it is dangerous. Hatty finds it hard to understand Lily, but, secretly, she envies her friendliness and gentler nature. Hatty is a central defender.
Lesh is the technical wizard of the Squad. He can use gadgets and is skilled in hacking into computer systems to find things out to help the Squad on their missions. He was born in Poland, but has lived with his parents in England for several years. Lesh has a very dramatic time in Black Op, meaning his role in the second book – White Fear – is very different. Lesh is a left back.
Kester is the leader of the Squad. But he relies a lot on Hatty for support. At the beginning of Black Op the Squad’s leaders have to choose between Kester and Hatty. The fact that Kester was chosen still remains unresolved during the book. Under pressure, Kester shows great leadership qualities when they Squad are under great pressure. He is a central defender, alongside Hatty.
Adnan is the joker of the pack. When he is feeling tense he tries to make everyone laugh. Sometimes it works: sometimes is doesn’t. Adnan is a loyal member of the Squad and would do anything for anyone. He is a very experienced at outdoor activities and often takes the lead on missions in the wild. Adnan is a goal keeper. He also hates football.
Writing the Squad
White Fear was inspired by reports I read in newspapers about how

quickly the Arctic ice is melting – and the numerous predicted catastrophes :
- the seas will rise
- rare wildlife will die out
- communities that live in the Arctic will lose their way of life
- without the ice in place, the seabed is accessible and some countries will begin to drill for oil, gas and other valuable resources – AND that they will start to jostle for who owns which part of the sea bed.
White Fear draws mostly on the last two threats.
It is set at a fictional conference of the Arctic Powers (Canada, Denmark, Finland, Iceland, Norway, Russia, Sweden and USA) in Tromso, Norway. These countries are trying, in a last chance to avoid war, to decide who owns which part of the seabed. But evil forces are at large. Forces that profit from war and oil exploitation. Forces that don’t want peace.
The only way to avert war is for The Squad – five British child spies – to infiltrate the conference and stop the evil-doers. It involves mountain-top anxiety, abseiling, chases on ocean liners and even a submarine.
It also involves an ecological protest group made up of Inuit people – called White Fear – that is trying to make the Arctic Powers see sense and help reverse the ice melt.
Sadly, recent events have re-highlighted the problems the Arctic faces.
The Arctic ice is now at its smallest and thinnest since records began. The melt is accelerating year on year, meaning that some Arctic Powers are already exploring, looking for oil and gas and minerals. Not so long ago the Russians placed a Russian flag on the seabed, appearing to claim it for themselves.
Only very recently Greenpeace has been trying to prevent Russian drilling ships from searching for oil beneath that newly-exposed seabed, facing a very aggressive response from the Russians.
When I researched White Fear, I was on board a Norwegian ship, looking at the waters and land that the Arctic Powers are fighting over.
I hope this book does something to raise awareness in children about something that is vital to the future of our planet.
For a daily update on the Arctic ice visit http://nsidc.org/arcticseaicenews/
The following is a DFT calculation (ωB97M-V with the def2-TZVPD basis set) of a single C4H9NO molecule at a distorted geometry.

Computed properties:
Kohn-Sham gap = 10.1 eV
Structure (SMILES) = CC/C(O)=N/C
Net charge = 0
Relative energy (zero: lowest compared OMol25 entry of this formula, charge and spin) = 40.3 kcal per mole
Electronic energy = -287.7682 Ha

```
15
Properties=species:S:1:pos:R:3:forces:R:3
C -1.1945 0.1552 0.8194 0.80 -1.58 -0.03
C 2.2077 -0.4342 -0.4736 -0.02 0.23 0.16
C -2.1365 -0.4700 -0.2095 -0.06 0.13 0.11
C 0.1283 0.4736 0.2126 1.30 -0.78 1.95
O 0.4906 1.7784 0.2026 -0.18 0.26 -0.99
N 0.9055 -0.5335 0.1551 0.04 0.22 -1.66
H 1.4066 1.8717 -0.0963 -0.10 -0.09 0.04
H -1.6207 1.0573 1.2587 -0.01 -0.44 0.60
H -0.7462 -0.7314 1.4502 -1.94 2.00 -0.17
H 2.1764 0.0752 -1.4457 -0.01 0.00 0.05
H 2.9239 0.0977 0.1646 0.14 -0.10 -0.02
H 2.5647 -1.4477 -0.6502 0.19 0.13 0.05
H -2.3713 0.2322 -1.0087 -0.09 0.04 -0.05
H -1.6698 -1.3495 -0.6484 0.01 -0.01 -0.02
H -3.0647 -0.7747 0.2693 -0.09 -0.01 -0.03
```
Forces are in eV/Å.

=====

The following is a DFT calculation (ωB97M-V with the def2-TZVPD basis set) of a molecular structure, C12H17Cl2F3O4Pb at a distorted geometry.

Computed properties:
Kohn-Sham gap (spin up / spin down) = 6.1 / 5.4 eV
Net charge = -2
Electronic energy = -2181.2687 Ha

```
39
Properties=species:S:1:pos:R:3:forces:R:3
C 0.1920 -1.5112 -1.8666 -1.85 0.69 -0.04
C 1.0470 -0.3787 -2.0483 -0.77 -0.71 0.42
C 0.2562 0.8082 -1.9439 -2.78 -0.93 -0.29
C 2.5019 -0.4307 -2.1822 1.13 0.42 0.16
C -1.0931 0.4119 -1.8225 1.95 1.10 -0.66
C -1.1389 -1.0356 -1.7831 1.84 -1.22 0.20
C -2.3551 -1.8407 -1.4611 -0.13 -0.02 0.34
C 0.5771 -2.9261 -1.6485 -0.10 -0.25 -0.22
C 0.6987 2.1966 -2.0153 0.65 0.32 -0.01
C -2.2772 1.3144 -1.7965 -0.47 0.44 0.05
Pb 0.2117 -0.3895 1.9011 0.91 -0.89 -1.72
Cl 2.4455 1.3893 0.6857 0.43 0.73 -0.40
Cl 2.2344 -1.6671 1.1145 0.68 -1.30 -0.01
O -1.1698 0.9243 0.9939 -1.57 0.83 1.12
H 2.9566 -1.4085 -1.9413 -0.43 0.37 -0.01
H 2.8619 0.3198 -1.4388 0.23 -0.44 -0.42
H 2.8649 -0.1509 -3.1942 -0.26 0.07 0.33
H 1.5763 2.3140 -1.3880 0.21 0.21 0.09
H -0.0621 2.8604 -1.6368 -0.29 0.29 0.12
H 0.9388 2.4808 -3.0332 0.13 0.30 -0.49
H -2.0871 2.1904 -1.1465 -0.11 -0.49 -0.24
H -3.1597 0.7794 -1.3974 0.36 0.42 -0.12
H -2.5619 1.7096 -2.8045 0.25 -0.31 0.49
H -3.1567 -1.1135 -1.2324 0.10 -0.73 -0.03
H -2.1573 -2.4579 -0.5526 -0.22 0.40 -0.49
H -2.6908 -2.5176 -2.2778 0.19 0.38 0.33
H 1.5682 -3.0231 -1.1983 -0.21 0.02 0.06
H 0.5725 -3.4776 -2.5967 0.00 -0.25 0.01
H -0.1743 -3.3659 -0.9764 0.40 -0.16 -0.09
H -1.6918 1.1575 1.8104 0.48 -0.09 -1.20
O -1.0243 -2.1943 1.8612 -1.16 0.03 0.74
H -1.8004 -1.9267 2.4078 0.65 -0.38 -0.59
F 1.1811 3.1970 5.1520 -0.10 -0.72 0.37
C 0.7923 1.9460 5.4657 0.50 -0.97 -0.66
F 1.7910 1.3575 6.2279 -1.01 0.84 -0.44
F -0.3117 2.0503 6.2291 0.36 -0.08 0.00
C 0.5826 1.0409 4.1659 -0.01 -0.85 -0.59
O 1.1367 1.4343 3.1236 -0.53 0.81 2.45
O -0.0752 -0.0672 4.2439 0.54 2.08 1.43
```
For news from Greenpeace’s Save the Arctic campaign visit www.greenpeace.org.uk/.
I blogged about my research trips here:
You can check out how I used my research to write Black Op and White Fear on my blog:
Writing about Norway
Squad Awards
2013 The Squad : Black Op wins the Solihull Children’s Book Award
2013 The Squad : Black Op shortlisted for the Leicester Libraries Our Best Book Award
2013 The Squad : White Fear listed in Chris Bradford’s “Top 5 books Every Child Should Read Before They’re 12″
Buy the books
Signed and dedicated copies of all my books are available personalised to order from my local independent children’s bookshop “The Thoughtful Spot” here.
The Squad 1 : Black Op Amazon
The Squad 2 : White Fear Amazon